Request
The reader should start at the top of the material further down and write out each line, ending with the one that has "0.2167 0.0000".
File
~~~
No. 1
LiHoScS3 | PBE | optimized geometry

Results
- uncorrected formation energy (eV per atom) = -1.753

Lattice parameters (Å, degrees): 7.6879 3.7062 8.1981 90.00 103.83 90.00
Fractional coordinates of all 12 atoms:
Li: 0.0925 0.2500 0.0883
Li: 0.9075 0.7500 0.9117
Ho: 0.1932 0.2500 0.7271
Ho: 0.8068 0.7500 0.2729
Sc: 0.3390 0.7500 0.3420
Sc: 0.6610 0.2500 0.6580
S: 0.0976 0.2500 0.3724
S: 0.2284 0.7500 0.9992
S: 0.4325 0.7500 0.6696
S: 0.5675 0.2500 0.3304
S: 0.7716 0.2500 0.0008
S: 0.9024 0.7500 0.6276

---

No. 2
Be2CoC | PBE | optimized geometry

Results
- formation energy from the elements (eV/atom) = 0.672

Lattice parameters (Å, degrees): 6.7086 6.7086 6.7086 152.12 152.12 39.84
Fractional coordinates of all 8 atoms:
Be: 0.0502 0.1250 0.4252
Be: 0.3750 0.9498 0.0748
Be: 0.6998 0.6250 0.5748
Be: 0.8750 0.3002 0.9252
Co: 0.2500 0.7500 0.5000
Co: 0.5000 0.5000 0.0000
C: 0.0000 0.0000 0.0000
C: 0.7500 0.2500 0.5000

---

No. 3
LaTb5NdSm2 | PBE | optimized geometry

Results
- formation energy from the elements (eV/atom) = 0.251

Lattice parameters (Å, degrees): 9.9938 9.9938 9.9938 127.78 127.78 76.98
Fractional coordinates of all 18 atoms:
La: 0.2500 0.2500 0.0000
La: 0.7500 0.7500 0.0000
Tb: 0.0000 0.0000 0.0000
Tb: 0.0712 0.5712 0.9119
Tb: 0.1593 0.0712 0.5000
Tb: 0.3407 0.8407 0.9119
Tb: 0.4288 0.3407 0.5000
Tb: 0.5000 0.5000 0.0000
Tb: 0.5712 0.6593 0.5000
Tb: 0.6593 0.1593 0.0881
Tb: 0.8407 0.9288 0.5000
Tb: 0.9288 0.4288 0.0881
Nd: 0.2500 0.7500 0.5000
Nd: 0.7500 0.2500 0.5000
Sm: 0.1175 0.3825 0.5000
Sm: 0.3825 0.8825 0.2651
Sm: 0.6175 0.1175 0.7349
Sm: 0.8825 0.6175 0.5000

---

No. 4
Ce7Al3 | PBE | optimized geometry

Results
- formation energy from the elements (eV/atom) = -0.077

Lattice parameters (Å, degrees): 10.4022 10.4022 5.4908 90.00 90.00 120.00
Fractional coordinates of all 20 atoms:
Ce: 0.0713 0.5356 0.0000
Ce: 0.1181 0.2361 0.1022
Ce: 0.1181 0.8819 0.1022
Ce: 0.2361 0.1181 0.6022
Ce: 0.3333 0.6667 0.2510
Ce: 0.4644 0.5356 0.0000
Ce: 0.4644 0.9287 0.0000
Ce: 0.5356 0.0713 0.5000
Ce: 0.5356 0.4644 0.5000
Ce: 0.6667 0.3333 0.7510
Ce: 0.7639 0.8819 0.1022
Ce: 0.8819 0.1181 0.6022
Ce: 0.8819 0.7639 0.6022
Ce: 0.9287 0.4644 0.5000
Al: 0.2039 0.4078 0.6054
Al: 0.2039 0.7961 0.6054
Al: 0.4078 0.2039 0.1054
Al: 0.5922 0.7961 0.6054
Al: 0.7961 0.2039 0.1054
Al: 0.7961 0.5922 0.1054

---

No. 5
La2PrN3 | PBE | optimized geometry

Results
- uncorrected formation energy (eV per atom) = -1.307

Lattice parameters (Å, degrees): 6.4683 6.4683 6.4683 146.44 131.94 59.89
Fractional coordinates of all 6 atoms:
La: 0.1662 0.1662 0.0000
La: 0.8338 0.8338 0.0000
Pr: 0.5000 0.5000 0.0000
N: 0.0000 0.5000 0.5000
N: 0.3352 0.8352 0.5000
N: 0.6648 0.1648 0.5000

---

No. 6
Zr2NbPbI | PBE | optimized geometry

Results
- uncorrected formation energy (eV per atom) = 1.028

Lattice parameters (Å, degrees): 5.2772 5.2772 5.0394 90.00 90.00 90.00
Fractional coordinates of all 5 atoms:
Zr: 0.0000 0.5000 0.0000
Zr: 0.5000 0.0000 0.0000
Nb: 0.0000 0.0000 0.5000
Pb: 0.5000 0.5000 0.5000
I: 0.0000 0.0000 0.0000

---

No. 7
Ho2ZrZn | PBE | optimized geometry

Results
- formation energy from the elements (eV/atom) = -0.133

Lattice parameters (Å, degrees): 3.4097 3.4097 8.4671 90.00 90.00 90.00
Fractional coordinates of all 4 atoms:
Ho: 0.0000 0.0000 0.2275
Ho: 0.0000 0.0000 0.7725
Zr: 0.5000 0.5000 0.5000
Zn: 0.5000 0.5000 0.0000

---

No. 8
Th4Ga16Fe3 | PBE | optimized geometry

Results
- formation energy from the elements (eV/atom) = -0.422

Lattice parameters (Å, degrees): 6.1812 6.1812 11.3794 90.00 90.00 90.00
Fractional coordinates of all 23 atoms:
Th: 0.0000 0.5000 0.1985
Th: 0.0000 0.5000 0.8015
Th: 0.5000 0.0000 0.1985
Th: 0.5000 0.0000 0.8015
Ga: 0.0000 0.0000 0.1952
Ga: 0.0000 0.0000 0.8048
Ga: 0.2167 0.2167 0.0000
Ga: 0.2167 0.7833 0.0000
Ga: 0.2515 0.2515 0.3896
Ga: 0.2515 0.2515 0.6104
Ga: 0.2515 0.7485 0.3896
Ga: 0.2515 0.7485 0.6104
Ga: 0.5000 0.5000 0.2218
Ga: 0.5000 0.5000 0.7782
Ga: 0.7485 0.2515 0.3896
~~~
Reply
No. 1
LiHoScS3 | PBE | optimized geometry

Results
- uncorrected formation energy (eV per atom) = -1.753

Lattice parameters (Å, degrees): 7.6879 3.7062 8.1981 90.00 103.83 90.00
Fractional coordinates of all 12 atoms:
Li: 0.0925 0.2500 0.0883
Li: 0.9075 0.7500 0.9117
Ho: 0.1932 0.2500 0.7271
Ho: 0.8068 0.7500 0.2729
Sc: 0.3390 0.7500 0.3420
Sc: 0.6610 0.2500 0.6580
S: 0.0976 0.2500 0.3724
S: 0.2284 0.7500 0.9992
S: 0.4325 0.7500 0.6696
S: 0.5675 0.2500 0.3304
S: 0.7716 0.2500 0.0008
S: 0.9024 0.7500 0.6276

---

No. 2
Be2CoC | PBE | optimized geometry

Results
- formation energy from the elements (eV/atom) = 0.672

Lattice parameters (Å, degrees): 6.7086 6.7086 6.7086 152.12 152.12 39.84
Fractional coordinates of all 8 atoms:
Be: 0.0502 0.1250 0.4252
Be: 0.3750 0.9498 0.0748
Be: 0.6998 0.6250 0.5748
Be: 0.8750 0.3002 0.9252
Co: 0.2500 0.7500 0.5000
Co: 0.5000 0.5000 0.0000
C: 0.0000 0.0000 0.0000
C: 0.7500 0.2500 0.5000

---

No. 3
LaTb5NdSm2 | PBE | optimized geometry

Results
- formation energy from the elements (eV/atom) = 0.251

Lattice parameters (Å, degrees): 9.9938 9.9938 9.9938 127.78 127.78 76.98
Fractional coordinates of all 18 atoms:
La: 0.2500 0.2500 0.0000
La: 0.7500 0.7500 0.0000
Tb: 0.0000 0.0000 0.0000
Tb: 0.0712 0.5712 0.9119
Tb: 0.1593 0.0712 0.5000
Tb: 0.3407 0.8407 0.9119
Tb: 0.4288 0.3407 0.5000
Tb: 0.5000 0.5000 0.0000
Tb: 0.5712 0.6593 0.5000
Tb: 0.6593 0.1593 0.0881
Tb: 0.8407 0.9288 0.5000
Tb: 0.9288 0.4288 0.0881
Nd: 0.2500 0.7500 0.5000
Nd: 0.7500 0.2500 0.5000
Sm: 0.1175 0.3825 0.5000
Sm: 0.3825 0.8825 0.2651
Sm: 0.6175 0.1175 0.7349
Sm: 0.8825 0.6175 0.5000

---

No. 4
Ce7Al3 | PBE | optimized geometry

Results
- formation energy from the elements (eV/atom) = -0.077

Lattice parameters (Å, degrees): 10.4022 10.4022 5.4908 90.00 90.00 120.00
Fractional coordinates of all 20 atoms:
Ce: 0.0713 0.5356 0.0000
Ce: 0.1181 0.2361 0.1022
Ce: 0.1181 0.8819 0.1022
Ce: 0.2361 0.1181 0.6022
Ce: 0.3333 0.6667 0.2510
Ce: 0.4644 0.5356 0.0000
Ce: 0.4644 0.9287 0.0000
Ce: 0.5356 0.0713 0.5000
Ce: 0.5356 0.4644 0.5000
Ce: 0.6667 0.3333 0.7510
Ce: 0.7639 0.8819 0.1022
Ce: 0.8819 0.1181 0.6022
Ce: 0.8819 0.7639 0.6022
Ce: 0.9287 0.4644 0.5000
Al: 0.2039 0.4078 0.6054
Al: 0.2039 0.7961 0.6054
Al: 0.4078 0.2039 0.1054
Al: 0.5922 0.7961 0.6054
Al: 0.7961 0.2039 0.1054
Al: 0.7961 0.5922 0.1054

---

No. 5
La2PrN3 | PBE | optimized geometry

Results
- uncorrected formation energy (eV per atom) = -1.307

Lattice parameters (Å, degrees): 6.4683 6.4683 6.4683 146.44 131.94 59.89
Fractional coordinates of all 6 atoms:
La: 0.1662 0.1662 0.0000
La: 0.8338 0.8338 0.0000
Pr: 0.5000 0.5000 0.0000
N: 0.0000 0.5000 0.5000
N: 0.3352 0.8352 0.5000
N: 0.6648 0.1648 0.5000

---

No. 6
Zr2NbPbI | PBE | optimized geometry

Results
- uncorrected formation energy (eV per atom) = 1.028

Lattice parameters (Å, degrees): 5.2772 5.2772 5.0394 90.00 90.00 90.00
Fractional coordinates of all 5 atoms:
Zr: 0.0000 0.5000 0.0000
Zr: 0.5000 0.0000 0.0000
Nb: 0.0000 0.0000 0.5000
Pb: 0.5000 0.5000 0.5000
I: 0.0000 0.0000 0.0000

---

No. 7
Ho2ZrZn | PBE | optimized geometry

Results
- formation energy from the elements (eV/atom) = -0.133

Lattice parameters (Å, degrees): 3.4097 3.4097 8.4671 90.00 90.00 90.00
Fractional coordinates of all 4 atoms:
Ho: 0.0000 0.0000 0.2275
Ho: 0.0000 0.0000 0.7725
Zr: 0.5000 0.5000 0.5000
Zn: 0.5000 0.5000 0.0000

---

No. 8
Th4Ga16Fe3 | PBE | optimized geometry

Results
- formation energy from the elements (eV/atom) = -0.422

Lattice parameters (Å, degrees): 6.1812 6.1812 11.3794 90.00 90.00 90.00
Fractional coordinates of all 23 atoms:
Th: 0.0000 0.5000 0.1985
Th: 0.0000 0.5000 0.8015
Th: 0.5000 0.0000 0.1985
Th: 0.5000 0.0000 0.8015
Ga: 0.0000 0.0000 0.1952
Ga: 0.0000 0.0000 0.8048
Ga: 0.2167 0.2167 0.0000